Female ejaculation - how much can there be?

I read an item in a newspaper column once - it talked about ‘female ejaculation’. What is that and does it only happen if one hasn’t had an orgasm in a while? Can it happen if a woman has sex on a reular basis? What is the biology of this and how much ejaculate can be produced? A friend told me it was like ‘peeing’ in the bed - is that true?

Ok, when someone speaks of “female ejaculation”, they are typically referring to fluid theoretically released from the female prostate during a g spot orgasm. I have heard from some male friends of mine that there can be quite a bit of liquid, and yes, if the person was not educated on this, they mistakenly think she “peed the bed”. The fluid is not urine (most notably in the fact that female ejaculate is clear and supposedly has a sweet smell), but some say that a slight amount may be squeezed out the urethra during vaginal contractions. I read somewhere that the liquid is made up of the same stuff that is in male ejaculate, minus the semen. I think it is also possible though for some women to have the same type of fluid release from a clitoral orgasm; I’ll admit, I’ve seen some porn where the women, um “squirt” during what is clearly not a g spot orgasm. All that being said, this is not something that happens to every female. Generally all females have an increase in lubricant when they orgasm, but only some release female ejaculate. Whether there is a release of female ejaculate or not is not dependent on the amount of time since the person last had an orgasm.

Cecil wrote a column which touched on this:

What’s the deal with the Grafenberg spot?

He wrote another one entitled What’s in female ejaculate?

See what you could have found once you’re a paying member? :slight_smile:

Sweet jeebus, we’re not talking brain surgery here. I am amazed that women have been doing this literally forever and we still haven’t figured it out. Cripes. :mad:

I’m a college student; nuff said

"Sweet jeebus, we’re not talking brain surgery here. I am amazed that women have been doing this literally forever and we still haven’t figured it out. Cripes. "

I don’t understand your response

Huh? You don’t need to be a paying member of the SDMB to keyword-search Cecil’s columns.

Hey, take the mystery out of sex, and what will we be left with? :smiley:

I feel compelled to post in this thread. As a female who is capable of this type of orgasm, I’d like to point out a few things. I’m sure this varies from woman to woman, but I do not like to have this kind of orgasm. Aside from the fact that it leaves a wet spot, which is kind of annoying in and of itself; it is not a pleasurable orgasm. It is very “shallow,” and actually feels more irritating than a “non-ejaculate” orgasm. It is simply unsatisfactory, and probably the least desirable thing about it is that it makes a good orgasm impossible afterwards. My girlie bits are simply too sensitive to stimulation to feel good. Thanks for letting me get that off my… er… chest, so to speak.

interesting, i’ve never heard a first hand description of one before. Thanks for sharing.

Really? I have imagined just the opposite. Not to be prurient, but is there a certain set of circumstances that you have to have in place to trigger such an event, or is it just sort of a chance thing, sometimes it happens, sometimes it doesn’t? Are you surprised when it does, or do you sense it approaching? Can you “control” it in any way, or is it is what it is? Any more light you can shed on the subject would be appreciated. Again, not being a jerk here, but I’ve always wondered about this.

In the interest of science I will add my experiences with this. For one, the fluid is not like make ejaculate, it is more watery and not sticky. I can’t predict or control when this will happen to me. This kind of orgasm does not have the same sort of build-up as a regular orgasm, it is just suddenly happening. I have little control over it. I agree with **Simply cats ** that it is a shallower orgasam, but I usually have several of them once they start, and can still have a “good” orgasam afterword. I generally have to be pretty turned on for it to happen. Probably TMI, but there you go.

I am one of those who are able to do this!
Yes you actually squirt!
And otherwise you just drench the sheet literally.
Its not nice, its quite embarrassing. After a day or two if you don’t clean it up it can smell.
I wouldnt say the big O is any better or any less.
In some ways it can feel less, but otherwise it does leave you gasping with pleasure still. It would be nice to have a switch so you could have a normal O sometimes without this!

For me, it’s not tied to orgasm at all. I have to contract my PC muscle in order to orgasm, but in order to forcefully expel the ejaculate, it’s necessary to bear down, the same as you do when you strain to urinate.

I have only experienced two " squirters" in my lifetime. Both of them were redheads and as said above both appeared to be bearing down hard. Maybe because I was caught off guard and not accostomed to it I actually cringed and covered my face, I didn’t like it too much as a man. I do however enjoy very much the hot wet drenching feeling I get when a woman has a more typical orgasm.

-- Inserted here: data records --
- - -
# TlCdIBr2
Computed powder X-ray diffraction pattern, Cu Kα. Input: a structure optimized by DFT (GGA-PBE).
Kinematic intensities with the Lorentz-polarization factor, no thermal factor.

Cell and atoms:
Cell: 8.043 6.059 8.740 Å, 90.00 96.44 90.00°
Space group P2_1/m (No. 11)
One atom of each set of equivalent atoms:
Tl: 0.221 0.250 0.371
Cd: 0.411 0.250 0.839
I: 0.074 0.250 0.739
Br: 0.400 0.750 0.387
Br: 0.454 0.750 0.870

Main lines, by angle (10° ≤ 2θ ≤ 90°):
| 2theta | I (rel.) | hkl |
| --- | --- | --- |
| 18.37 | 578 | 1 1 0 |
| 20.45 | 161 | 0 0 2 |
| 22.17 | 503 | 1 0 -2 |
| 26.72 | 155 | 2 1 0 |
| 29.52 | 1000 | 0 2 0 |
| 31.66 | 212 | 1 0 -3 |
| 32.27 | 218 | 2 1 -2 |
| 37.24 | 577 | 1 2 -2 |
| 40.50 | 154 | 2 0 3 |
| 43.81 | 153 | 1 2 -3 |

=====

# YPa2S4
Computed powder X-ray diffraction pattern, Cu Kα. Input: a structure optimized by DFT (GGA-PBE).
Kinematic intensities with the Lorentz-polarization factor, no thermal factor.

Cell and atoms:
Cell: 3.724 12.770 13.407 Å, 90.00 90.00 90.00°
Space group Cmcm (No. 63)
One atom of each set of equivalent atoms:
Y: 0.000 0.116 0.250
Pa: 0.000 0.358 0.064
S: 0.000 0.000 0.000
S: 0.000 0.284 0.630
S: 0.000 0.455 0.250

Main lines, by angle (10° ≤ 2θ ≤ 90°):
| 2theta | I (rel.) | hkl |
| --- | --- | --- |
| 13.21 | 412 | 0 0 2 |
| 24.31 | 1000 | 0 2 3 |
| 24.90 | 225 | 1 1 0 |
| 27.95 | 270 | 0 4 0 |
| 28.29 | 244 | 1 1 2 |
| 31.93 | 376 | 1 3 0 |
| 34.69 | 550 | 1 3 2 |
| 42.12 | 420 | 1 1 5 |
| 47.73 | 268 | 1 5 3 |
| 55.35 | 222 | 2 2 3 |

=====

# LiYZn17
Computed powder X-ray diffraction pattern, Cu Kα. Input: a structure optimized by DFT (GGA-PBE).
Kinematic intensities with the Lorentz-polarization factor, no thermal factor.

Cell and atoms:
Cell: 8.9542 8.9542 13.1620 Å, 90.00 90.00 120.00°
Space group R3m (No. 160, hexagonal axes)
One atom of each set of equivalent atoms:
Li: 0.0000 0.0000 0.0000
Y: 0.0000 0.0000 0.3065
Zn: 0.0000 0.0000 0.5459
Zn: 0.0000 0.0000 0.7508
Zn: 0.0053 0.3053 0.6427
Zn: 0.0082 0.5041 0.1397
Zn: 0.0124 0.5062 0.7964
Zn: 0.1700 0.3399 0.8240

Main lines, by angle (10° ≤ 2θ ≤ 90°):
| 2theta | I (rel.) | hkl |
| --- | --- | --- |
| 13.25 | 242 | 1 0 1 |
| 19.83 | 241 | 1 1 0 |
| 34.70 | 305 | 3 0 0 |
| 35.79 | 262 | 0 2 4 |
| 40.29 | 572 | 2 2 0 |
| 40.51 | 977 | 0 3 3 |
| 41.17 | 491 | 0 0 6 |
| 45.49 | 1000 | 2 2 3 |
| 46.08 | 278 | 1 1 6 |
| 73.24 | 280 | 6 0 0 |

=====

# DyEr4Sc4
Computed powder X-ray diffraction pattern, Cu Kα. Input: a structure optimized by DFT (GGA-PBE).
Kinematic intensities with the Lorentz-polarization factor, no thermal factor.

Cell and atoms:
Cell: 10.212 10.212 4.800 Å, 90.00 90.00 90.00°
Space group I4/mmm (No. 139)
One atom of each set of equivalent atoms:
Dy: 0.000 0.000 0.000
Er: 0.000 0.329 0.000
Sc: 0.167 0.167 0.500

Main lines, by angle (10° ≤ 2θ ≤ 90°):
| 2theta | I (rel.) | hkl |
| --- | --- | --- |
| 17.37 | 105 | 2 0 0 |
| 20.45 | 176 | 1 0 1 |
| 32.24 | 1000 | 3 0 1 |
| 37.36 | 334 | 3 3 0 |
- - -

The anterior fornix (right below the entry to the cervix) is more the spot that can cause this. If that area is stimulated it redirects lubrication and can cause a release of fluids.

I’ve gotten a healthy release of clear, odorless fluid in the past without any interior stimulation at all… just external massage and clitoral stimulation with the tongue.
Incidentally, this appears to be the source of squirting.

Didn’t re-read the entire thread.

Is this the one where someone (a woman, I think) tasted the fluid?

The occasional posts here from people who have tasted their bodily fluids/excretions, cooked and raw, grab my attention.

Nope, I think that’s one I started maybe 2 years ago.
Might be wrong.

That’s it! NSFW Question: Squirting.

One-hundred and twenty six posts, every one a winner.

Seriously, check this thread out first before posting relevant questions here. It’s quite good on this topic.